Author: Chris
The “2.0” label has officially jumped the shark
In a repeat of the late 90’s Internet mania, when the ‘i’ prefix could be slapped on to anything and magically it became an Internet property, the ‘2.0’ prefix has similarly lost all meaning. I know I am not the first one to say this, but it became true for me this morning when I…
Virtual manufacturing in second life
John sent me the link to this video on Salon Ms .45 dvdrip perfect stranger divx online . While it’s a bit of an ‘art project’, the team that is working on this is doing a little bit of everything that I’ve been talking about here for the last year: Virtual worlds as a foundation…
User generated products
I snuck in on another NewsGang live today and got to have a little chat with Dave Winer (inventor of a few things you all use every day). I asked him about some of the posts he put out in the first half of last year at the end of 2006 outlining the perfect podcast…
Which engineering discipline is most important
Finally a flash game will let the world figure it out for themselves (hint: I am a mechanical engineer…by degree anyway). Engineering Game – Today’s Time Waster – Download Squad Scary Movie 3 movie The Limping Man
My 2 cents on the newsgang – what Steve should do next
.!. I know, I know, I happen to sneak in to one show and now I’m the expert. The truth is I do have a vested interest in the Gang continuing it’s weekly discussions in that I feel like am sitting at the middle of at least one of the junctions that makes the gang…
NPR – Second Life Haters?
From Fleep’s blog: “The people in Second Life aren’t worth reaching” – Fleep’s Deep Thoughts Freaky Friday movie full While I am not going to come to the aid of Linden Labs and Second Life specifically, I do think it would be hard to justify that statement in general about virtual worlds. Like it or…
My 5 minutes of fame
Well, I guess my 5 minutes has come and gone ;-). I have been paying extra attention to twitter this week – really trying to figure out if its useful or just another distraction. Popular opinion seems to be that you have to follow a significant number of people (>100) to approach usefulness, so I…
If SL = AOL, then ?? = the Net
One other interesting thought from the FIR interview with Erica Driver was an off hand comment she made about SL being kind of like AOL in that it’s a walled garden. This has been one of my biggest problems with using SL as a real business tool: it’s the most disconnected tool I use on…
Forrester getting serious about second life
Materials data, as found in the file:
____________
TcSO2 | PBE-GGA | relaxed

POSCAR file:
```
TcSO2
1.0
1.6404 0.0000 6.5884
-0.8202 1.4207 6.5884
-0.8202 -1.4207 6.5884
Tc O S
1 2 1
Direct
0.5000 0.5000 0.5000 Tc
0.9004 0.9004 0.9004 O
0.0996 0.0996 0.0996 O
0.0000 0.0000 0.0000 S
```

Computed properties:
E_form (uncorrected): -0.42 eV/atom
E_tot: -26.1 eV per cell
relative energy among the computed polymorphs: 0 meV/atom


TcSO6 | PBE-GGA | relaxed

POSCAR file:
```
TcSO6
1.0
5.2254 -0.7732 -0.0722
-2.6617 4.5627 -0.0722
-0.5445 -0.8049 4.4660
S O Tc
1 6 1
Direct
0.5000 0.5000 0.5000 S
0.8235 0.5829 0.7084 O
0.7520 0.7520 0.2558 O
0.5829 0.8235 0.7084 O
0.4171 0.1765 0.2916 O
0.2480 0.2480 0.7442 O
0.1765 0.4171 0.2916 O
0.0000 0.0000 0.0000 Tc
```

Computed properties:
E_form (uncorrected): -0.74 eV/atom
E_tot: -50.2 eV per cell


TcS2O | PBE-GGA | relaxed

POSCAR file:
```
TcS2O
1.0
2.0396 0.0000 5.9971
-1.0198 1.7664 5.9971
-1.0198 -1.7664 5.9971
Tc S O
1 2 1
Direct
0.5000 0.5000 0.5000 Tc
0.9034 0.9034 0.9034 S
0.0966 0.0966 0.0966 S
0.0000 0.0000 0.0000 O
```

Computed properties:
E_form (uncorrected): -0.11 eV/atom
E_tot: -24.0 eV per cell
relative energy among the computed polymorphs: 0 meV/atom

* * * * *

1.
# Zr2TcNi PBE relaxed
data_Zr2TcNi
_chemical_formula_sum 'Zr8 Tc4 Ni4'
_space_group_name_H-M_alt 'F m -3 m'
_space_group_IT_number 225
_space_group_name_Hall '-F 4 2 3'
_cell_length_a 6.526
_cell_length_b 6.526
_cell_length_c 6.526
_cell_angle_alpha 90.00
_cell_angle_beta 90.00
_cell_angle_gamma 90.00
loop_
_atom_site_label
_atom_site_fract_x
_atom_site_fract_y
_atom_site_fract_z
Zr1 0.250 0.250 0.250
Tc1 0.000 0.000 0.000
Ni1 0.000 0.000 0.500
# uncorrected energy	-8.698	eV/atom
# N(E_F)	1.74	states/eV per atom



2.
# Al2InPd3 PBE relaxed
data_Al2InPd3
_chemical_formula_sum 'Al2 In1 Pd3'
_space_group_name_H-M_alt 'P 4/m m m'
_space_group_IT_number 123
_space_group_name_Hall '-P 4 2'
_cell_length_a 3.135
_cell_length_b 3.135
_cell_length_c 9.594
_cell_angle_alpha 90.00
_cell_angle_beta 90.00
_cell_angle_gamma 90.00
loop_
_atom_site_label
_atom_site_fract_x
_atom_site_fract_y
_atom_site_fract_z
Al1 0.000 0.000 0.157
In1 0.000 0.000 0.500
Pd1 0.500 0.500 0.000
Pd2 0.500 0.500 0.303
# uncorrected energy	-5.049	eV/atom
# N(E_F)	0.49	states/eV per atom



3.
# NaAgSeO4 PBE relaxed
data_NaAgSeO4
_chemical_formula_sum 'Na2 Ag2 Se2 O8'
_space_group_name_H-M_alt 'I -4'
_space_group_IT_number 82
_space_group_name_Hall 'I -4'
_cell_length_a 5.702
_cell_length_b 5.702
_cell_length_c 8.038
_cell_angle_alpha 90.00
_cell_angle_beta 90.00
_cell_angle_gamma 90.00
loop_
_atom_site_label
_atom_site_fract_x
_atom_site_fract_y
_atom_site_fract_z
Na1 0.000 0.000 0.000
Ag1 0.000 0.000 0.500
Se1 0.000 0.500 0.250
O1 0.168 0.323 0.132
# formation energy (no corrections)	-0.882	eV/atom
# N(E_F)	0.00	states/eV per atom



4.
# PmNdSm2Bi5 PBE relaxed
data_PmNdSm2Bi5
_chemical_formula_sum 'Pm1 Nd1 Sm2 Bi5'
_space_group_name_H-M_alt 'P 4/m m m'
_space_group_IT_number 123
_space_group_name_Hall '-P 4 2'
____________
End of the materials data:
Forrester has been spitting out a number of reports in the last 6 months on the opportunities and pitfalls of doing business in virtual worlds like Second Life. The latest by Erica Driver is called “Getting Real Work done in Virtual Worlds” and is available here for Forrester subscribers. I took a listen to an…